Your job: write out only the last part of the block below, starting with the line that has "_cell_angle_beta 96.03".

<<<
Record 1
The following is a PBE calculation of a relaxed structure of TbPmTh, from Alexandria via LeMat-Bulk.

```
data_TbPmTh
_cell_length_a 4.9465
_cell_length_b 4.9465
_cell_length_c 8.5601
_cell_angle_alpha 90.00
_cell_angle_beta 90.00
_cell_angle_gamma 90.00
_space_group_name_H-M_alt 'P 4/n m m'
_space_group_IT_number 129
loop_
_space_group_symop_operation_xyz
'x,y,z'
'-x,-y,-z'
'-y+1/2,x,z'
'y+1/2,-x,-z'
'-x+1/2,-y+1/2,z'
'x+1/2,y+1/2,-z'
'y,-x+1/2,z'
'-y,x+1/2,-z'
'x+1/2,-y,-z'
'-x+1/2,y,z'
'-y,-x,-z'
'y,x,z'
'-x,y+1/2,-z'
'x,-y+1/2,z'
'y+1/2,x+1/2,-z'
'-y+1/2,-x+1/2,z'
loop_
_atom_site_label
_atom_site_fract_x
_atom_site_fract_y
_atom_site_fract_z
_atom_site_occupancy
Tb1 0.2500 0.2500 0.2099 1
Pm1 0.2500 0.2500 0.7926 1
Th1 0.2500 0.7500 0.5000 1
```

**Energy above the most stable polymorph in this dataset**: 169 meV per atom



Record 2
The following is a PBE calculation of a relaxed structure of TbPmTh, from Alexandria via LeMat-Bulk.

```
data_TbPmTh
_cell_length_a 3.6024
_cell_length_b 3.6024
_cell_length_c 15.2427
_cell_angle_alpha 90.00
_cell_angle_beta 90.00
_cell_angle_gamma 90.00
_space_group_name_H-M_alt 'P 4/n m m'
_space_group_IT_number 129
loop_
_space_group_symop_operation_xyz
'x,y,z'
'-x,-y,-z'
'-y+1/2,x,z'
'y+1/2,-x,-z'
'-x+1/2,-y+1/2,z'
'x+1/2,y+1/2,-z'
'y,-x+1/2,z'
'-y,x+1/2,-z'
'x+1/2,-y,-z'
'-x+1/2,y,z'
'-y,-x,-z'
'y,x,z'
'-x,y+1/2,-z'
'x,-y+1/2,z'
'y+1/2,x+1/2,-z'
'-y+1/2,-x+1/2,z'
loop_
_atom_site_label
_atom_site_fract_x
_atom_site_fract_y
_atom_site_fract_z
_atom_site_occupancy
Tb1 0.2500 0.2500 0.2427 1
Pm1 0.2500 0.2500 0.5852 1
Th1 0.2500 0.2500 0.9203 1
```

**Energy above the most stable polymorph in this dataset**: 0 meV per atom



Record 3
The following is a PBE calculation of a relaxed structure of Tb4Pm2Th, from Alexandria via LeMat-Bulk.

```
data_Tb4Pm2Th
_cell_length_a 6.2650
_cell_length_b 3.6105
_cell_length_c 20.4569
_cell_angle_alpha 90.00
_cell_angle_beta 96.03
_cell_angle_gamma 90.00
_space_group_name_H-M_alt 'C 1 m 1'
_space_group_IT_number 8
loop_
_space_group_symop_operation_xyz
'x,y,z'
'x,-y,z'
'x+1/2,y+1/2,z'
'x+1/2,-y+1/2,z'
loop_
_atom_site_label
_atom_site_fract_x
_atom_site_fract_y
_atom_site_fract_z
_atom_site_occupancy
Tb1 0.0000 0.0000 0.0000 1
Tb2 0.0225 0.5000 0.5711 1
Tb3 0.4047 0.5000 0.7116 1
Tb4 0.4307 0.0000 0.2867 1
Pm1 0.1230 0.5000 0.8563 1
Pm2 0.2119 0.5000 0.1425 1
Th1 0.3050 0.5000 0.4287 1
```

**Energy above the most stable polymorph in this dataset**: 16 meV per atom



Record 4
The following is a PBE calculation of a relaxed structure of Tb3Pm7Th, from Alexandria via LeMat-Bulk.

```
data_Tb3Pm7Th
_cell_length_a 18.7537
_cell_length_b 7.0553
_cell_length_c 11.3698
_cell_angle_alpha 90.00
_cell_angle_beta 90.00
_cell_angle_gamma 90.00
_space_group_name_H-M_alt 'C m c m'
_space_group_IT_number 63
_space_group_name_Hall '-C 2c 2'
loop_
_atom_site_label
_atom_site_fract_x
_atom_site_fract_y
_atom_site_fract_z
_atom_site_occupancy
Tb1 0.0000 0.0000 0.0000 1
Tb2 0.2456 0.0054 0.2500 1
Pm1 0.0000 0.2342 0.7500 1
Pm2 0.0873 0.2649 0.2500 1
Pm3 0.1606 0.2534 0.5310 1
Th1 0.0000 0.5000 0.0000 1
```

**Energy above the most stable polymorph in this dataset**: 0 meV per atom



Record 5
The following is a PBE calculation of a relaxed structure of Tb2Pm3Th4, from Alexandria via LeMat-Bulk.

```
data_Tb2Pm3Th4
_cell_length_a 6.2215
_cell_length_b 6.2305
_cell_length_c 9.4903
_cell_angle_alpha 71.15
_cell_angle_beta 71.21
_cell_angle_gamma 60.11
_space_group_name_H-M_alt 'P -1'
_space_group_IT_number 2
loop_
_space_group_symop_operation_xyz
'x,y,z'
'-x,-y,-z'
loop_
_atom_site_label
_atom_site_fract_x
_atom_site_fract_y
_atom_site_fract_z
_atom_site_occupancy
Tb1 0.2247 0.0587 0.3304 1
Pm1 0.0000 0.5000 0.0000 1
Pm2 0.4451 0.6122 0.6690 1
Th1 0.1037 0.2740 0.6688 1
Th2 0.3292 0.8364 0.0005 1
>>>

_cell_angle_beta 96.03
_cell_angle_gamma 90.00
_space_group_name_H-M_alt 'C 1 m 1'
_space_group_IT_number 8
loop_
_space_group_symop_operation_xyz
'x,y,z'
'x,-y,z'
'x+1/2,y+1/2,z'
'x+1/2,-y+1/2,z'
loop_
_atom_site_label
_atom_site_fract_x
_atom_site_fract_y
_atom_site_fract_z
_atom_site_occupancy
Tb1 0.0000 0.0000 0.0000 1
Tb2 0.0225 0.5000 0.5711 1
Tb3 0.4047 0.5000 0.7116 1
Tb4 0.4307 0.0000 0.2867 1
Pm1 0.1230 0.5000 0.8563 1
Pm2 0.2119 0.5000 0.1425 1
Th1 0.3050 0.5000 0.4287 1
```

**Energy above the most stable polymorph in this dataset**: 16 meV per atom



Record 4
The following is a PBE calculation of a relaxed structure of Tb3Pm7Th, from Alexandria via LeMat-Bulk.

```
data_Tb3Pm7Th
_cell_length_a 18.7537
_cell_length_b 7.0553
_cell_length_c 11.3698
_cell_angle_alpha 90.00
_cell_angle_beta 90.00
_cell_angle_gamma 90.00
_space_group_name_H-M_alt 'C m c m'
_space_group_IT_number 63
_space_group_name_Hall '-C 2c 2'
loop_
_atom_site_label
_atom_site_fract_x
_atom_site_fract_y
_atom_site_fract_z
_atom_site_occupancy
Tb1 0.0000 0.0000 0.0000 1
Tb2 0.2456 0.0054 0.2500 1
Pm1 0.0000 0.2342 0.7500 1
Pm2 0.0873 0.2649 0.2500 1
Pm3 0.1606 0.2534 0.5310 1
Th1 0.0000 0.5000 0.0000 1
```

**Energy above the most stable polymorph in this dataset**: 0 meV per atom



Record 5
The following is a PBE calculation of a relaxed structure of Tb2Pm3Th4, from Alexandria via LeMat-Bulk.

```
data_Tb2Pm3Th4
_cell_length_a 6.2215
_cell_length_b 6.2305
_cell_length_c 9.4903
_cell_angle_alpha 71.15
_cell_angle_beta 71.21
_cell_angle_gamma 60.11
_space_group_name_H-M_alt 'P -1'
_space_group_IT_number 2
loop_
_space_group_symop_operation_xyz
'x,y,z'
'-x,-y,-z'
loop_
_atom_site_label
_atom_site_fract_x
_atom_site_fract_y
_atom_site_fract_z
_atom_site_occupancy
Tb1 0.2247 0.0587 0.3304 1
Pm1 0.0000 0.5000 0.0000 1
Pm2 0.4451 0.6122 0.6690 1
Th1 0.1037 0.2740 0.6688 1
Th2 0.3292 0.8364 0.0005 1